(To do)
Set down every line further down that contains the word "set", please.
(Given)
+++
[1]
The following is a DFT calculation (ωB97M-V with the def2-TZVPD basis set) of a molecular structure, C40H104Hg2O42S13 at a distorted geometry.

Properties
HOMO-LUMO gap = 8.4 eV
calculated total energy = -10228.8874 hartree
charge = +2
LUMO level = -3.728 eV
2S+1 = 1

The geometry in XYZ format:
```
201
C40H104Hg2O42S13 | the OMol25 dataset | ωB97M-V with the def2-TZVPD basis set
Hg -0.41264 1.15180 2.59654
Hg 1.30009 -0.47270 -1.38963
C -0.94440 0.08867 0.10263
O -1.77744 0.32705 0.95737
O 0.21818 0.26155 0.46045
O -1.03954 -0.28975 -1.05729
O -0.36012 3.67725 -3.31130
S 0.72615 3.33208 -2.43847
O 0.84523 1.91782 -2.03649
O 2.15445 3.97363 -2.95558
C 2.18290 4.95067 -4.01984
C 3.00057 6.13269 -3.44169
C 0.58846 4.25522 -0.85640
H 1.28852 5.23713 -4.57313
H 2.78132 4.59987 -4.86064
H 2.29912 6.80904 -2.95323
H 3.36568 6.76583 -4.25036
H 3.85341 5.84642 -2.82620
H -0.47187 4.17538 -0.61680
H 0.92089 5.28438 -0.99209
H 1.26155 3.67727 -0.22312
O -6.97302 -1.61484 -1.18294
S -5.96953 -1.43899 -0.22096
O -6.30844 -0.71164 1.00830
O -5.30897 -2.87793 0.20398
C -6.18349 -3.78173 0.75715
C -7.26698 -4.31959 -0.27914
C -4.32626 -0.72264 -0.98890
H -6.65002 -3.47661 1.69382
H -5.56374 -4.58997 1.14542
H -7.30015 -5.36330 0.03338
H -6.90003 -4.29557 -1.30523
H -8.21266 -3.79089 -0.39852
H -3.68689 -0.85557 -0.11618
H -4.26060 0.35687 -1.12468
H -4.04345 -1.32759 -1.85040
O 0.83080 -1.04665 3.50575
S 1.95323 -1.98536 3.19414
O 2.61375 -1.99781 1.91124
O 3.13480 -1.64276 4.35265
C 4.09584 -2.74333 4.70488
C 5.40102 -2.33802 5.46481
C 1.27818 -3.67556 3.70715
H 4.33896 -3.32304 3.81441
H 3.52991 -3.32148 5.43533
H 5.96022 -3.25903 5.62952
H 5.20924 -1.67373 6.30745
H 6.05653 -1.74472 4.82732
H 0.38514 -3.93805 3.13998
H 1.18222 -3.77012 4.78879
H 1.99926 -4.42585 3.38282
O -3.97780 -1.01234 4.95292
S -2.68253 -1.22877 4.27855
O -1.61841 -0.16231 4.01454
O -1.93156 -2.58740 5.07710
C -2.76264 -3.55707 5.41485
C -1.85091 -4.79641 5.23503
C -3.10437 -2.03069 2.58420
H -3.67289 -3.59327 4.81633
H -2.95981 -3.48966 6.48475
H -2.20498 -5.78919 5.51278
H -0.95325 -4.59626 5.82003
H -1.43528 -4.90264 4.23300
H -3.45344 -1.16021 2.02874
H -4.00069 -2.61610 2.78911
H -2.21239 -2.54494 2.22637
O 1.76114 1.43488 5.28240
S 0.38892 1.69679 5.80123
O -0.69342 2.07076 4.87674
O -0.17931 0.47163 6.74160
C 0.77634 -0.44190 7.39059
C 0.44267 -1.89091 6.96644
C 0.51074 3.04141 7.15000
H 0.74654 -0.35849 8.47698
H 1.78494 -0.13162 7.11755
H 0.47517 -1.93880 5.87797
H -0.57951 -2.08855 7.28919
H 1.05833 -2.64514 7.45655
H 1.27480 3.77835 6.90257
H 0.74102 2.60445 8.12167
H -0.47185 3.50570 7.06606
O -5.51937 4.14432 -4.09685
S -5.35504 2.90269 -3.28854
O -5.91513 2.62659 -1.93716
O -5.80827 1.60763 -4.23144
C -6.13468 0.36661 -3.63283
C -7.02583 -0.39840 -4.66221
C -3.53489 2.66635 -3.18527
H -6.63921 0.54877 -2.68396
H -5.18667 -0.16781 -3.57139
H -6.58146 -0.79141 -5.57664
H -7.73314 0.30425 -5.10276
H -7.60767 -1.18179 -4.17653
H -3.27221 1.83893 -2.52612
H -3.02659 3.55665 -2.81503
H -3.16007 2.63232 -4.20823
O -0.08038 -3.25289 0.99939
S -0.25742 -3.54114 -0.44857
O 0.61064 -2.88992 -1.39301
O -0.07698 -5.17941 -0.74396
C -0.45444 -5.72278 -2.07617
C 0.38197 -7.07897 -2.18671
C -2.03512 -3.43208 -0.94567
H -0.10093 -5.00880 -2.82004
H -1.53122 -5.85575 -2.18083
H 1.44798 -7.15684 -1.97301
H 0.38517 -7.29687 -3.25470
H -0.13997 -8.00246 -1.93607
H -2.53901 -2.82533 -0.19332
H -2.45893 -4.43618 -0.92916
H -2.15206 -2.98021 -1.93068
O 5.08592 -2.26345 0.54487
S 4.36366 -2.58942 -0.69129
O 3.15470 -1.90274 -1.18212
O 5.40912 -2.79804 -1.90845
C 6.32937 -3.87313 -1.75576
C 5.95706 -5.00155 -2.72885
C 3.84525 -4.34956 -0.29391
H 6.43152 -4.27776 -0.74881
H 7.35707 -3.64237 -2.03629
H 6.70126 -5.79627 -2.67701
H 6.06343 -4.60011 -3.73664
H 5.04014 -5.59061 -2.70920
H 4.62301 -5.02526 0.06193
H 3.41724 -4.76059 -1.20822
H 3.10500 -4.20085 0.49222
O 2.10277 1.52290 -4.80550
S 3.30332 0.88137 -4.25895
O 3.20060 0.47828 -2.89260
O 3.63936 -0.41622 -5.18327
+++
(Result)
The following is a DFT calculation (ωB97M-V with the def2-TZVPD basis set) of a molecular structure, C40H104Hg2O42S13 at a distorted geometry.
C40H104Hg2O42S13 | the OMol25 dataset | ωB97M-V with the def2-TZVPD basis set